On a bitterly cold January day in 2013, then-Ravens quarterback Joe Flacco heaved a hail mary pass for a touchdown that eventually helped knock the Denver Broncos out of the playoffs. It was a heartbreaking loss.
In the stadium that day was Denver Mayor Michael Hancock, sitting in a suite paid for by United Airlines, the largest carrier at Denver International Airport. The airport is owned and operated by the city. The two tickets he received were worth an estimated $2,000.
Hancock has made a habit of accepting costly sporting event tickets from companies with close ties to the city. In 2016, the mayor sat courtside at a Nuggets game courtesy of Comcast, which has a cable franchise with the city. Hancock got six suite tickets in 2014 to see the Broncos in the AFC Championship game. Four of those tickets came from Centerplate, which has a concession contract at the Colorado Convention Center and Performing Arts Complex. Two of the tickets came from Rod Tafoya, who runs Mission Yogurt, which has an airport concession contract. The total value of those six tickets: an estimated $3,516, according to the mayor’s gift disclosure.
CPR spent six months looking into the different ways companies, particularly lobbyists, are connected to Denver’s city government. As part of that investigation we reviewed Hancock’s campaign finance records and gift disclosures going back to his first days as mayor. It turns out lobbyists aren’t big gift givers, but developers and companies with large city contracts are.
The first gift disclosure form CPR opened was a bit of a shock. Hancock’s 2017 disclosure covering the second half of that year, for example, listed gifts that add up to $44,415. The total was inflated by economic development trips provided to him by the city’s airport (which his administration argued weren’t gifts).
Also on that disclosure form were gift memberships to the Denver Athletic Club, Denver Country Club, and the University Club Denver totaling $17,310. Some city hall veterans say these memberships have been offered to other mayors, but, other than the 2017 gift disclosure, CPR couldn’t find another example of Hancock or Hickenlooper accepting them, according to a review of their disclosures.
The other prominent entry on Hancock’s gift disclosures are tickets, specifically, a collection of Broncos and Nuggets tickets worth an estimated $22,000 since he became mayor. More than $8,000 in tickets came from one person: Pat Hamill, the CEO of Oakwood Homes, the largest home developer in Denver.
These molecular data were left in the piece by mistake:
{"formula": "C3H6N4O", "method": "ωB97M-V/def2-TZVPD", "smiles": "[H]/N=C(N)\\N=C(\\N)C=O", "relative_energy_kj_mol": 140.0, "fmax_ev_per_a": 4.93, "gap_ha": 0.3189, "e_tot_ha": -412.15563, "symbols": ["H", "N", "C", "N", "N", "C", "N", "C", "O", "H", "H", "H", "H", "H"], "xyz": [[-1.886, 0.555, -1.813], [-2.201, -0.109, -1.112], [-1.530, 0.124, -0.037], [-1.815, -0.564, 1.140], [-0.433, 1.007, 0.019], [0.761, 0.522, -0.031], [1.844, 1.242, 0.122], [1.057, -0.950, -0.282], [2.237, -1.323, -0.066], [-1.424, 0.021, 1.943], [-2.905, -0.642, 1.203], [2.813, 0.751, 0.313], [1.807, 2.244, 0.389], [0.217, -1.554, -0.588]]}

***

{"formula": "C3H6N4O", "method": "ωB97M-V/def2-TZVPD", "smiles": "NC1=NC(=O)NCN1", "relative_energy_kj_mol": 284.1, "fmax_ev_per_a": 7.29, "gap_ha": 0.3544, "e_tot_ha": -412.10073, "symbols": ["N", "C", "N", "C", "O", "N", "C", "N", "H", "H", "H", "H", "H", "H"], "xyz": [[1.366, 1.372, 1.475], [0.568, 0.598, 0.701], [0.414, 1.150, -0.498], [-0.504, 0.632, -1.506], [-0.976, 1.231, -2.431], [-0.527, -0.632, -1.427], [-0.854, -1.214, -0.091], [0.059, -0.732, 1.084], [1.985, 2.197, 1.103], [1.817, 0.770, 2.422], [-1.229, -0.762, -2.140], [-1.940, -0.910, 0.275], [-0.941, -2.204, -0.020], [0.761, -1.497, 1.053]]}

***

{"formula": "C3H6N4O", "method": "ωB97M-V/def2-TZVPD", "smiles": "[H]/N=c1\\ncn(NC)o1", "relative_energy_kj_mol": 374.7, "fmax_ev_per_a": 3.08, "gap_ha": 0.3386, "e_tot_ha": -412.06623, "symbols": ["H", "N", "C", "N", "C", "N", "N", "C", "O", "H", "H", "H", "H", "H"], "xyz": [[2.520, -2.072, 2.359], [2.006, -1.211, 2.478], [1.389, -1.012, 1.360], [1.195, -1.860, 0.298], [0.430, -1.196, -0.520], [0.147, 0.140, -0.168], [-1.136, 0.595, -0.195], [-1.362, 1.767, -1.013], [0.698, 0.151, 1.187], [0.171, -1.608, -1.489], [-1.758, -0.148, -0.485], [-0.627, 2.525, -0.743], [-2.334, 2.298, -0.931], [-1.338, 1.631, -2.136]]}

***

{"formula": "C3H6N4O", "method": "ωB97M-V/def2-TZVPD", "relative_energy_kj_mol": 531.9, "fmax_ev_per_a": 9.79, "gap_ha": 0.3434, "e_tot_ha": -412.00635, "symbols": ["C", "C", "C", "H", "H", "H", "H", "H", "H", "N", "N", "N", "N", "O"], "xyz": [[0.652, 0.773, -2.507], [-1.051, 0.021, 0.490], [1.162, -0.920, 1.162], [0.036, 1.498, -2.976], [1.909, 0.586, -2.714], [-0.933, 1.563, -0.723], [-0.653, -1.443, 2.028], [1.605, -1.664, 1.861], [2.725, -0.183, 0.850], [0.280, 0.111, -1.436], [-0.862, 0.246, -0.772], [-0.224, -0.804, 1.279], [1.803, 0.116, 0.601], [-2.030, 0.339, 1.137]]}

***
The mayor’s office said Hancock followed all rules in accepting the gifts, which were properly disclosed, and CPR’s review of the documents and the ordinance back that up. In fact, the mayor and his staff both noted that he over-reports on his gift disclosures, in the interest of transparency.
By Denver Rules, Large Gifts Can Be Accepted Under a Complex And Shifting Set Of Circumstances
Today, Hancock, his top staff and members of city council aren’t allowed to take expensive tickets from companies they have “direct official action” over, basically some clear authority over the company at the time the gift is offered.
At first glance, the mayor of Denver would seem to have direct official action over companies like Xcel, Comcast, Centerplate, the law firm Hogan Lovells, and United Airlines. These are all companies with significant city contracts or franchise agreements, and all have given Hancock expensive tickets to sporting events. But the mayor said he doesn’t get involved in negotiating or administering contracts, so he often does not have direct official action over these companies.
Hancock said even though accepting tickets from them is allowed, he is always careful.
“I think it’s important when something is offered to the mayor, the first person or group that I turn to is the city attorney’s office,” said Hancock. Hancock said the city attorney's office makes sure that anyone offering gifts doesn't have business pending with his administration before the gifts are accepted.
"In other words, they're not up for a new lease or a new contract, no one's competing," Hancock said.
The ordinance says just because the mayor signs the contracts, that’s not enough to rise to the level of direct official action.
“Direct official action does not include acts that are purely ministerial (that is, acts which do not affect the disposition or decision with respect to the matter),” according to the ordinance. “With regard to the approval of contracts, direct official action does not include the signing by the mayor…”
A look at the situation surrounding United Airlines shows there are a number of exceptions that allowed the gift of playoff tickets in 2013.
United Airlines has deep ties to DIA, accounting for about half of air traffic. United negotiated a new fee package with the city in 2012. About six months later, Hancock received $3,276 in Broncos tickets from United for two different games. Hancock said, when it comes to his authority over United, his role in any negotiations was delegated.
“I’m not sitting at the table negotiating the details,” said Hancock. “I sent a team of emissaries who did that, but they understood from me clearly what I expected and what we wanted to come out of the deal and we got what we wanted, United got what they wanted.”
Still, even if Hancock had direct official action over United at the time he accepted the tickets, another exception in the code allowed him to accept four tickets of any value. That exemption was tightened in 2017, with changes to the ordinance that put a cap of $300 on annual allowed value of tickets gifted in this way.
The mayor’s office provided a detailed opinion from his city attorney written in 2016, dealing specifically with gifts from Comcast. The opinion argued that if the city were in the midst of negotiating with the company, gift limits would kick in. “However,” the 2016 opinion states, “the franchise agreement is not currently being negotiated.” And the opinion says even if it were, “neither the Mayor nor City Council is taking any Direct Official Action over Comcast in this regard.”
Unrelated to this page: calculated molecules =
-- begin --
DFT (the ωB97M-V functional and the def2-TZVPD basis) results for a structure of composition C36H84ClN12O12Pt.

HOMO level (spin up / spin down): -9.9 / -10.1 eV
Multiplicity: 3
Total energy: -96913.2138 eV
Charge: +1

The geometry in XYZ format:
```
146
C36H84ClN12O12Pt | the Open Molecules 2025 dataset | the ωB97M-V functional and the def2-TZVPD basis
Pt -8.0272 8.6166 -0.5085
Cl -7.8670 7.4650 -2.7322
C -4.2438 7.4895 0.0226
C -5.3431 7.2147 0.9839
O -6.4564 7.6711 0.7123
N -5.1559 6.5110 2.0913
C -3.9706 5.7460 2.4289
H -4.7788 7.7106 -0.9010
H -3.5432 6.6640 -0.1027
H -3.6723 8.3467 0.3785
H -5.8939 6.4523 2.7784
H -4.1124 4.7267 2.0696
H -3.8311 5.6902 3.5084
H -2.9949 6.0232 2.0296
C -5.8329 11.7928 -2.3566
C -5.8967 11.1730 -0.9736
O -6.4773 10.1348 -0.8056
N -5.4396 11.9349 0.0317
C -5.4753 11.4918 1.4500
H -6.5864 11.2992 -2.9702
H -4.8392 11.6532 -2.7825
H -5.9882 12.8622 -2.2137
H -4.8253 12.7210 -0.1258
H -5.1471 10.4571 1.5491
H -6.5219 11.5086 1.7542
H -4.9668 12.2111 2.0919
C -12.1730 8.6931 -8.5827
C -11.8702 9.3654 -7.2697
O -12.7374 9.8701 -6.6091
N -10.6104 9.3785 -6.9198
C -10.0587 9.9989 -5.7057
H -11.2656 8.6026 -9.1799
H -12.7565 9.4261 -9.1397
H -12.7385 7.7622 -8.5418
H -9.9444 8.9021 -7.5111
H -9.2456 9.4171 -5.2716
H -10.8530 10.1644 -4.9778
H -9.5251 10.8835 -6.0533
C -11.4750 0.7728 -2.9847
C -10.8077 2.0035 -2.4813
O -11.5063 2.7881 -1.7823
N -9.5292 2.1086 -2.8159
C -8.6862 3.2394 -2.5360
H -12.3094 0.4229 -2.3769
H -10.8094 -0.0900 -2.9595
H -11.8695 0.9241 -3.9894
H -9.2327 1.4412 -3.5136
H -7.8908 2.9830 -1.8363
H -9.2620 4.0208 -2.0401
H -8.2527 3.6506 -3.4477
C -9.7679 11.9067 -2.5002
C -10.3234 10.7755 -1.6343
O -9.5685 9.8913 -1.1631
N -11.6388 10.6801 -1.4276
C -12.2890 9.6209 -0.6542
H -9.0944 12.4344 -1.8248
H -10.4453 12.6511 -2.9186
H -9.0715 11.5744 -3.2701
H -12.2176 11.2240 -2.0516
H -13.2869 10.0405 -0.5267
H -11.7654 9.3804 0.2711
H -12.3510 8.7284 -1.2770
C -8.5738 5.3818 1.8667
C -9.5551 6.0547 0.9217
O -9.2504 7.1011 0.3600
N -10.7096 5.4394 0.7133
C -11.6462 5.8940 -0.2773
H -8.8856 5.6116 2.8855
H -7.5496 5.7206 1.7109
H -8.6947 4.3174 1.6652
H -10.9663 4.5549 1.1279
H -12.0753 6.8502 0.0222
H -12.5315 5.2739 -0.4182
H -11.2130 5.9298 -1.2769
C -4.2632 4.4373 -6.5810
C -5.5596 5.0836 -6.1417
O -6.4270 5.3898 -6.9822
N -5.8189 5.2812 -4.8398
C -4.8392 5.1807 -3.7872
H -3.5762 4.4200 -5.7350
H -3.7363 4.8424 -7.4449
H -4.6574 3.4473 -6.8103
H -6.6921 5.7055 -4.5615
H -4.5334 4.1602 -3.5565
H -5.2622 5.5659 -2.8594
H -4.0092 5.8377 -4.0470
C -8.8766 8.8786 3.6917
C -8.9528 9.8763 2.5445
O -8.4241 9.6612 1.4591
N -9.5826 10.9815 2.8863
C -9.9541 12.0112 1.8951
H -7.8411 8.5669 3.8286
H -9.4600 8.0198 3.3597
H -9.1908 9.2984 4.6473
H -9.9540 11.1091 3.8168
H -10.4939 11.6995 1.0009
H -9.0628 12.5380 1.5544
H -10.5083 12.7505 2.4734
C -12.1241 7.6338 -4.0924
C -13.0082 6.4328 -3.7557
O -13.6554 6.4041 -2.7664
N -12.8675 5.4259 -4.6627
C -13.4745 4.0967 -4.6134
H -11.3117 7.6680 -3.3665
-- stop --
Ethics watchdogs called this logic into question.
Even if it’s true that Denver’s mayor has little direct official action over businesses doing city work, “the next step shouldn’t be they can accept whatever gift they want. That isn’t the kind of policy that instills confidence in the system,” said Amanda Gonzalez, the executive director of Colorado Common Cause, a government watchdog group.
“When people perceive their elected officials as behaving in unethical or disingenuous ways, it erodes their trust in government, it erodes their faith that each of us is represented and has an equal voice,” Gonzalez said.
Home rule cities, like Denver with its own ethics code, are not covered by Amendment 41, which is a strict set of ethical standards that apply to state lawmakers and any government entity that doesn’t have its own ethical code.

Next to the text, the page also holds molecular data:
........
DFT (ωB97M-V/def2-TZVPD) results for 2 unconnected molecules or ions with the total composition C11H14N2O.

Atoms and positions in Å:
C1 0.55725 -1.85051 -2.76310
C2 0.55453 -2.34252 -1.34361
C3 -0.15674 -1.61507 -0.38886
C4 -0.29139 -2.08869 0.90884
C5 0.37285 -3.26212 1.25670
O1 0.24245 -3.63450 2.57918
C6 1.20502 -3.92182 0.37886
C7 1.29884 -3.42922 -0.92985
H1 1.38142 -2.27582 -3.34506
H2 0.49469 -0.77854 -2.91810
H3 -0.29278 -2.32933 -3.26597
H4 -0.72850 -0.71929 -0.59842
H5 -0.86464 -1.64930 1.68972
H6 0.91243 -4.24447 2.85913
H7 1.92202 -4.67375 0.65623
H8 2.08122 -3.86532 -1.54066
C8 -1.03589 3.41490 -1.30791
C9 -0.84612 3.64895 0.14625
C10 0.28890 3.82660 0.89879
N1 -0.11653 3.75472 2.20577
C11 -1.41563 3.40752 2.20918
N2 -1.89160 3.36594 0.99081
H9 -1.92606 2.81599 -1.48470
H10 -0.32893 2.71593 -1.75109
H11 -0.99512 4.34480 -1.87285
H12 1.17604 4.39265 0.65491
H13 0.45429 3.82512 3.02994
H14 -2.05204 3.16714 3.04585

Calculated values
HOMO-LUMO gap (eV): 9.153
SMILES: Cc1ccc(O)cc1.Cc1c[nH]cn1
HOMO (eV): -8.3

Atom charges from the natural (NBO) analysis, given in e for atoms 1 to 6: number 1, C, carries -0.624; number 2, C, carries -0.056; number 3, C, carries -0.184; number 4, C, carries -0.257; number 5, C, carries 0.300; number 6, O, carries -0.686



DFT (ωB97M-V/def2-TZVPD) results for 10 unconnected molecules or ions with the total composition C40H45Br10N5O10.

Atoms and positions in Å:
O1 -23.60405 -5.45675 29.62813
N1 -23.99425 -4.36515 30.02492
O2 -25.09185 -4.10315 30.58643
C1 -22.99555 -3.27359 29.80863
C2 -23.32940 -1.98237 30.27511
C3 -22.50491 -0.84509 30.10681
C4 -21.26896 -1.06566 29.39160
C5 -21.00664 -2.32668 28.88291
C6 -21.78461 -3.44178 29.19395
H1 -24.31378 -1.74912 30.65325
H2 -22.63799 0.17499 30.43562
H3 -20.63813 -0.29937 28.96584
H4 -20.10099 -2.39527 28.29853
H5 -21.67065 -4.38465 28.67975
O3 -17.43603 1.33527 33.51213
N2 -16.41484 1.40052 34.25908
O4 -16.39109 2.26267 35.19294
C7 -15.17113 0.57701 34.05802
C8 -13.91555 0.97175 34.51618
C9 -12.81979 0.21768 34.52581
C10 -12.95039 -1.05336 34.05287
C11 -14.20224 -1.53475 33.53670
C12 -15.30153 -0.63904 33.47823
H6 -13.75273 2.00177 34.79719
H7 -11.83478 0.43784 34.91012
H8 -12.10452 -1.72402 34.08631
H9 -14.32662 -2.59648 33.38288
H10 -16.26772 -1.04297 33.21421
O5 -16.33765 0.49958 23.50170
N3 -17.51272 0.22760 23.36719
O6 -17.87590 -0.56811 22.46764
C13 -18.49774 0.69777 24.40861
C14 -19.83645 0.28716 24.27540
C15 -20.78452 0.67406 25.16603
C16 -20.41005 1.50982 26.21240
C17 -19.04618 1.90227 26.39474
C18 -18.10303 1.45086 25.51417
H11 -20.05293 -0.32644 23.41340
H12 -21.81887 0.36398 25.14710
H13 -21.13068 1.92261 26.90282
H14 -18.77155 2.48412 27.26217
H15 -17.10623 1.86370 25.56273
O7 -14.20180 2.02175 29.28917
N4 -15.26238 1.77729 29.82949
O8 -15.88163 2.50333 30.69921
C19 -16.01379 0.54230 29.32108
C20 -17.12741 0.08264 30.07307
C21 -17.78563 -1.06742 29.65571
C22 -17.40890 -1.75155 28.48644
C23 -16.32216 -1.26981 27.76728
........
Back to the text:
An Old Friend — Who's A Big Developer In Denver — Has Been Particularly Generous
No one has given more to Michael Hancock in gifts and campaign contributions than Pat Hamill, who runs Oakwood Homes.
Hamill, who has a reputation for constructing affordable, well-built homes in northeast Denver, is a close, personal friend of the mayor. He has known Hancock since before he was on city council, when Hancock was director of the Urban League. Hamill has been a longtime and unabashed supporter of Hancock. He is also connected to Hancock through sports.
CPR’s review of Hancock’s gift disclosures shows that Hamill has given Hancock at least $8,160 in Broncos and Nuggets tickets (an estimated value was not listed for one set of tickets). Most of the eye-popping cost comes from a handful of Broncos games, when the team was on top of the NFL.
“We have a suite,” said Hamill in an interview. “So the tickets are expensive.” And Hancock has “always got an invite, because I consider him family.”
The way Denver’s ethics ordinance is written, there are no limits on gifts someone like Hamill can give Hancock, because despite being the city’s largest home developer with a keen interest in city issues, Hamill’s company does not have a contract, lease, or franchise agreement with the city, so Hancock doesn’t have direct official action over him.
“There’s nothing illegal or unethical for me to accept those tickets,” Hancock said. “As long as I report them and report the value of them.”
Hamill doesn’t just give the mayor tickets, but also large campaign contributions, on a scale not previously reported.
In Denver, contribution limit is $3,000 for a single individual. But according to Hancock’s 2011 mayoral campaign finance records, 13 different companies linked to Pat Hamill each maxed out contributions to Hancock in that race.
Through those contributions from his companies, like $3,000 each from MH 2009 LLC and GVR King LLC, Hamill was able to raise $36,000 for Hancock.
“It’s certainly not illegal,” Hancock said. “And again you pick out a person who I have had a personal relationship with for 22 years, and way before I was in politics.”
Hamill said he is careful to work within the confines of Denver’s limits, and his success has allowed him to control many companies. He said it would be unethical, though, if someone were to create a company just to give an additional contribution.
Hancock Isn't The First To Benefit From Such Gifts, And He's Not Even Alone In The 2019 Mayoral Race
When it comes to the sports tickets, former Mayor John Hickenlooper also reported receiving Broncos, Nuggets and Rockies tickets over the years, though it’s difficult to know from his disclosure forms how many tickets he received, the value of them or the gift-giver. His spokesperson didn’t respond to our questions.
A few entries are clear, though: In 2004, Hickenlooper listed “Denver Broncos football ticket from Pat Hamill” on his disclosure form.
When it comes to campaign contributions, Hancock is not the only one taking advantage of the lack of limits on corporate contributions. Candidates have done this for years, and in the current mayoral race, Hancock challenger Jamie Giellis has a variety of LLCs linked to the Zeppelin family, which have contributed about $60,000, according to a profile of Giellis by Andrew Kenney in The Denver Post.
The Denver rules making that possible are a departure from how things work at the state level. Direct contributions from corporations aren’t allowed in state-level elections. Instead corporations give to political action committees who advertise and campaign on behalf of candidates without coordinating with them. Denver voters, though, have approved changes to campaign finance, and direct corporate contributions are outlawed for municipal elections after this year.
Using multiple companies from “what is essentially the same entity is an obvious end run around campaign limits. Legal, but an end run nonetheless,” said C.L. Harmer, a political consultant who used to work for Denver Mayor Wellington Webb and who has given $100 to another Hancock challenger, Penfield Tate.
Still, most voters don’t even show up to the polls in municipal elections, let alone give.
“I’m not at all surprised that folks try to take advantage of that system. I am disappointed that this is what you see,” said Amanda Gonzalez, with Colorado Common Cause. The essential problem of people who give big gifts or campaign contributions is they, “might have an expectation of what they’re going to get in return.”
Hamill, who has built large swaths of homes in Denver, has an interest in Denver politics. In the past, he had calendar appointments with Hancock to talk about the Aerotropolis project and Denver Public Schools board candidates. Hamill also has a contract with a lobbyist, CRL Associates, to monitor city issues generally.
He said he’s never gotten anything from Hancock in return for his gifts and donations.
Harmer, the political pro, said the reality is that campaigns cost money.
“A candidate I talked to recently said, ‘I’m beginning to get this, because it takes so many phone calls to raise $50 and $100, and in five minutes it’s a lot easier to raise $1,000 from somebody who has a vested interest in the city and a profit to be made depending on who’s elected,” he said.
Editor's Note: This story was updated to properly describe Joe Flacco's pass in the 2012 divisional round. The desperation pass was caught short of the end zone, not in the end zone.